Trinity 11 – August 20th

Here the entry breaks off for materials data.
____________
Computed, not measured: an optimized crystal structure of ErMgRu at the PBE-GGA level of DFT.

Calculated values
The value obtained for the total magnetic moment is 0.00 μB per formula unit. As for the density of states at the Fermi level: 5.65 states/eV per cell. As for the space group: P4_2/mmc (131). The crystal system is tetragonal. The formation energy is -0.08 eV/atom.

Unit cell a=4.6565 b=4.6556 c=6.2676 alpha=90.01 beta=90.02 gamma=90.00
Positions (direct):
Mg 0.7723 0.0985 0.2364
Mg 0.2726 0.5987 0.7366
Er 0.7726 0.0986 0.7364
Er 0.2723 0.5985 0.2365
Ru 0.7724 0.5986 0.4864
Ru 0.7724 0.5986 0.9864

=====

1.
Ba2HgWN after structural relaxation. Source: the Alexandria database, functional PBE.

Cell: 6.407 5.139 6.407 Å, 90.00 90.00 90.00°
Site moments in Bohr magnetons follow the coordinates.
Fractional positions:
Ba: 0.500 0.000 0.000  -0.03
W: 0.000 0.500 0.000  2.48
Hg: 0.000 0.000 0.000  0.03
N: 0.500 0.500 0.500  0.17
Ba: 0.000 0.000 0.500  0.00

Computed properties:
Space group: P4/mmm (123)
Formation energy without anion corrections in eV per atom: 1.77
DOS(E_F) in states/eV/f.u.: 7.24

***

2.
NaMnBiOs after structural relaxation. Source: the Alexandria database, functional PBE.

Cell: 3.165 3.162 17.173 Å, 90.00 90.00 90.00°
Site moments in Bohr magnetons follow the coordinates.
Fractional positions:
Os: 0.500 0.500 0.189  -0.17
Bi: 0.000 0.000 0.828  0.00
Mn: 0.000 0.500 0.623  3.03
Na: 0.500 0.000 0.489  -0.01
Bi: 0.000 0.500 0.328  0.00
Na: 0.500 0.500 0.989  -0.01
Mn: 0.000 0.000 0.123  3.03
Os: 0.500 0.000 0.689  -0.17

Computed properties:
Space group: Amm2 (38)
Formation enthalpy at 0 K in eV per atom: 0.437
DOS(E_F) in states/eV/f.u.: 2.49

***

3.
Rb3YI after structural relaxation. Source: the Alexandria database, functional PBE.

Cell: 7.601 7.601 7.601 Å, 90.00 90.00 90.00°
Site moments in Bohr magnetons follow the coordinates.
Fractional positions:
Y: 0.000 0.000 0.000  0.90
I: 0.500 0.500 0.500  0.02
Rb: 0.500 0.000 0.000  0.04
Rb: 0.000 0.500 0.000  0.04
Rb: 0.000 0.000 0.500  0.03

Computed properties:
Space group: Pm-3m (221)
Formation energy without anion corrections in eV per atom: 0.41
DOS(E_F) in states/eV/f.u.: 19.50

***

4.
SrCoSe after structural relaxation. Source: the Alexandria database, functional PBE.

Cell: 4.993 4.993 4.993 Å, 60.00 60.00 60.00°
Site moments in Bohr magnetons follow the coordinates.
Fractional positions:
Sr: 0.750 0.750 0.750  -0.01
Co: 0.000 0.000 0.000  1.93
Se: 0.500 0.500 0.500  0.06

Computed properties:
Space group: F-43m (216)
Formation energy without anion corrections in eV per atom: 0.17
DOS(E_F) in states/eV/f.u.: 4.81

***

5.
Pm2NdY2Tm after structural relaxation. Source: the Alexandria database, functional PBE.

Cell: 3.575 6.126 18.405 Å, 90.00 90.00 90.00°
Fractional positions:
Tm: 0.500 0.500 0.500
Nd: 0.500 0.500 0.000
Y: 0.000 0.661 0.841
Pm: 0.000 0.662 0.654
Pm: 0.000 0.338 0.346
Nd: 0.000 0.000 0.500
Pm: 0.500 0.838 0.154
Y: 0.000 0.339 0.159
____________
The entry goes on.

Trinity 11 – August 20th 2023

Isaiah 56:1,6-8, Matthew 15:10-28

In the name of God, Father, Son and Holy Spirit. Amen.

Just before the beginning of our gospel today – Jesus had had a rather testy exchange with the Pharisees. They had come to him, and demanded to know why his disciples broke with the tradition of their elders, and did not wash their hands before they ate? What followed was a rather frosty conversation with Jesus answering with his own question, and then calling the Pharisees hypocrites! Quoting the prophet Isaiah saying This people honours me with their lips but their hearts are far from me. In vain do they worship me, teaching human precepts as doctrines.

Obviously with the Pharisees on his mind he talks to the crowd at the beginning of the  passage set for today – he said – ‘Listen and understand: it is not what goes into the mouth that defiles a person, but it is what comes out of the mouth that defiles.’ He was referring to the food eaten by the disciples without the ritual handwashing the Pharisees practiced, being what went in to the mouth. That did not cause the disciples to be defiled – which means to make impure or unclean (in the Pharisees eyes) – but the kind of things they said – where heart and life style didn’t match up – which was alluding to the attitude of the heart of the Pharisees who were more concerned with ritual and tradition than being loving!

What he goes on to say by way of explanation then to just his disciples is even more hard hitting for the Pharisees. First that every plant that has not been planted by God will be uprooted, and then a rather harsh reference to blindness – where if one blind person guides another, they will both fall into a pit! I think underneath this is a reference to the teaching role of the Pharisees and them leading people into dead ends and ritual practices that are not connecting them well to the loving heart of God.

I find it quite pertinent that Jesus reserves his harshest criticism for those in leadership positions who are not leading faithfully to God, and leading people into ways that are not good for them. When leading becomes self-seeking and self-serving rather than pointing to the love God has for us. The Pharisees were respected and admired for their serious pursuit of their version of righteousness. Perhaps this is exactly why Jesus criticised them so harshly. The source of their perception and perspective was not God, but the ways they had devised and carried on for many generations. Where tradition had taken too much hold, they were blind guides of blind disciples (and the leading people astray was of particular concern to Jesus).

Where does this leave us. I think at the very least it means we need to think carefully about some of our ‘traditions’ and where these have got a bit out of control, or are pointing us away from the God of love we know. The Christian faith, as the Church of England has it, is based on understanding the Bible, tradition, reason and experience. Tradition can play a big part, but sometimes it is also getting in the way of progress and what God wants of us today. There is a strong ‘pull’ to do what we have always done, rather than to change. Some of that may be right, but sometimes we are blinkered by it too.

Right now we are in choppy waters as a Church. There are a selection of things going on in the life of our Church on which people do not agree. This is the way with a Church that has always been a broad church – not a narrow one – enabling people with differing views to sit together.

This Autumn, at a National level, the next steps in the ‘Living in love and faith’ process will involve the results of three work streams:

  • Firstly looking at the Prayers of Love and Faith to be used for same sex couples.
  • Secondly looking at the guidance to replace Issues on Human Sexuality which governs particularly the behaviour of clergy in same sex relationships.
  • And thirdly a group focused on Pastoral Reassurance, is considering questions around freedom of conscience, implications for clergy and laity, and transparency around using the Prayers of Love and Faith.

The intent is to create a “generous theological, church and pastoral space”, offering a pastoral welcome to same-sex couples while not altering the doctrine of marriage. The difficulties in all this are obvious!

Even closer to home, this autumn I am expecting the next phase of consultation on the proposals to reduce the number of clergy in our Deanery to be discussed by our PCCs. Over the past year we have had a series of rather frosty discussions about this at Deanery Synod – nobody really wants to have to reduce clergy, but the truth is we can only have the number of clergy we can actually afford. This will have an impact, and the current proposal sees the separate benefices of Wincanton and Pen Selwood, becoming one benefice with Wincanton, Pen Selwood, Cucklington and Stoke Trister, and Charlton Musgrove. This will take time to come to pass, and for the changes to begin to take place, and there is plenty of time to have our say. However having said that we do need to be careful in light of our Gospel today about what we say!  

As we approach both these big things in the life of the national church and the local church, we need to do so with what comes out of our mouths reflecting God’s love for us and the needs of the common good! What comes out of our hearts has to reflect what God wants of us and it is important that we do keep firm foundations as the going gets a bit more rocky! Eating with unwashed hands may be unwise but does not make us any less in God’s eyes of love for us. Where as what we say…….. Enough said – lets share God’s love first and foremost!

End with some silence and a prayer. Jesus Christ, barrier-breaker, lead us from our comfort zones. We want to surround ourselves with like-minded people; help us to be open to those who are different. Jesus Christ, risk-taker, free us from our fear of all that is strange. We are afraid of what we don’t know and understand; help us to see the inclusiveness in your plan. Jesus Christ, hope-giver, show us how to be like you. We don’t willingly embrace change, or always welcome the stranger; Help us to open our hearts and minds, so that your kingdom may grow. Amen.

The New Revised Standard Version of the Bible (1989 © 1995).

Prayer from © Reproduced with permission.